**Wanted**
What is needed: type out the lines further below up to the one that holds "-5.4122 -2.9741", that line included.
**Material**
____________
ORCA calculation (ωB97M-V/def2-TZVPD) on a molecular structure, C15H14NO4V.

Results
Frontier orbital gap (alpha / beta)   0.2739 / 0.2660 hartree
Net charge   +1
E_tot   -51144.555 eV
Spin multiplicity   2

CARTESIAN COORDINATES (ANGSTROEM)
V: -0.3621 0.4578 0.2302
O: -1.4723 -1.3016 -3.4234
C: -1.2824 -0.9257 -2.1893
O: -0.7220 0.1190 -1.8647
C: -1.7921 -1.8259 -1.1317
C: -2.6191 -2.9218 -1.2409
C: -3.0357 -3.5290 -0.0527
C: -2.6403 -3.0213 1.1765
C: -1.8067 -1.9126 1.1837
N: -1.4030 -1.3596 0.0534
C: -1.3167 -1.1349 2.3934
O: -1.5090 -1.5240 3.5078
O: -0.7161 -0.0199 2.0272
H: -1.1186 -0.6434 -4.0445
H: -2.9402 -3.2822 -2.2076
H: -3.6905 -4.3888 -0.0949
H: -2.9669 -3.4496 2.1139
C: 1.6112 0.1800 0.0140
H: 1.9553 0.5314 -0.9590
H: 1.7813 -0.8976 0.1103
H: 2.1505 0.7093 0.8017
C: -1.3549 2.2028 0.0072
C: -0.0774 2.7731 0.4312
C: 0.8715 3.2004 -0.5201
C: 2.1257 3.6135 -0.1286
C: 2.4740 3.5970 1.2211
C: 1.5598 3.1808 2.1759
C: 0.2942 2.7687 1.7886
H: -1.6748 2.4688 -0.9958
H: -2.1551 2.2464 0.7446
H: 0.5936 3.2112 -1.5679
H: 2.8414 3.9507 -0.8661
H: 3.4609 3.9195 1.5249
H: 1.8286 3.1797 3.2232
H: -0.4242 2.4520 2.5335

ORCA calculation (ωB97M-V/def2-TZVPD) on a gas-phase ion, C7H14N (charge +1) at a distorted geometry.

Results
Energy relative to the best compared isomer or geometry (same formula, charge and spin)   2.005 eV
Frontier orbital gap   0.4003 hartree
SMILES   C=C[C@@]1(C)C[C@H]1[NH2+]C
Net charge   +1
E_tot   -8967.073 eV

CARTESIAN COORDINATES (ANGSTROEM)
C: 0.5855 0.4058 -2.4074
C: -0.0845 -0.3298 -1.5574
C: 0.3642 -0.9332 -0.2391
C: 0.3972 -2.5055 -0.3134
C: 1.2695 -0.2132 0.7050
C: -0.2653 -0.2517 0.9144
N: -1.0391 0.9495 0.6067
C: -0.9669 2.1402 1.4855
H: 0.1627 0.6996 -3.3017
H: 1.6538 0.6309 -2.2734
H: -1.1161 -0.5072 -1.6235
H: 0.8282 -2.7803 0.5439
H: 1.2131 -2.6951 -0.9944
H: -0.6036 -2.9083 -0.6384
H: 1.7128 0.7510 0.5389
H: 1.8678 -0.7335 1.4726
H: -0.6007 -0.7731 1.8488
H: -0.5136 1.3709 -0.1959
H: -2.0033 0.6054 0.2876
H: -1.2476 1.8457 2.4966
H: 0.1389 2.4095 1.5226
H: -1.7531 2.8224 1.1221

ORCA calculation (ωB97M-V/def2-TZVPD) on a molecular structure, C24H26BrCl2N2O3ReS.

Results
Frontier orbital gap (alpha / beta)   0.2317 / 0.2139 hartree
Net charge   +3
E_tot   -142458.384 eV
Spin multiplicity   2

CARTESIAN COORDINATES (ANGSTROEM)
Re: 0.1397 -0.4310 -1.4790
C: 5.8264 -0.6402 -1.5290
C: 4.3682 -0.9772 -1.5475
C: 3.9360 -2.3241 -1.4285
C: 2.6026 -2.6862 -1.3887
C: 1.7220 -1.6234 -1.4916
Br: -0.9402 -1.4892 -3.2968
N: 2.1164 -0.3707 -1.6641
C: 3.4112 0.0114 -1.6612
H: 6.4225 -1.4685 -1.9060
H: 6.1444 -0.4378 -0.5039
H: 6.0384 0.2416 -2.1307
H: 4.6952 -3.0940 -1.3528
H: 2.2761 -3.7075 -1.2626
H: 3.6378 1.0614 -1.7812
C: 1.8630 4.2622 -4.4250
C: 1.2694 3.5790 -3.1958
S: 0.6720 1.9488 -3.6490
O: 0.1172 1.4306 -2.2415
C: -0.8148 2.2848 -4.6057
C: -1.7383 3.3529 -4.0524
H: 2.2050 5.2535 -4.1327
H: 1.1252 4.3947 -5.2160
H: 2.7142 3.7130 -4.8248
H: 0.4398 4.1309 -2.7559
H: 2.0135 3.3927 -2.4209
H: -1.2858 1.3011 -4.6670
H: -0.4324 2.5085 -5.6060
H: -1.9441 3.2014 -2.9927
H: -2.6844 3.2912 -4.5887
H: -1.3429 4.3557 -4.2031
Cl: -6.6642 -0.9451 3.7620
C: -6.4145 0.7472 3.9008
C: -7.2777 1.4785 4.6927
C: -7.0207 2.8181 4.9557
C: -5.8794 3.4496 4.4620
C: -5.0188 2.7324 3.6696
Cl: -3.5923 3.4779 3.0467
C: -5.2810 1.3799 3.3265
N: -4.3605 0.7276 2.5399
C: -4.6048 -0.2119 1.5657
C: -5.8710 -0.2625 0.9577
C: -6.1546 -1.2415 0.0308
C: -5.1852 -2.1826 -0.2948
C: -3.9159 -2.1187 0.2825
C: -3.5896 -1.1331 1.1905
C: -2.2339 -1.1237 1.8504
C: -1.1888 -0.2045 1.2792
O: -0.4182 0.5154 1.7894
O: -1.1034 -0.3514 -0.1859
H: -8.1334 0.9844 5.1311
H: -7.7076 3.3760 5.5781
H: -5.6709 4.4848 4.6909
H: -3.4105 1.0650 2.6598
H: -6.6099 0.4852 1.2140
H: -7.1302 -1.2789 -0.4337
H: -5.4122 -2.9741 -0.9962
H: -3.1826 -2.8740 0.0279
H: -1.7847 -2.1196 1.7767
H: -2.2894 -0.9066 2.9184

ORCA calculation (ωB97M-V/def2-TZVPD) on C4H6N2 in the gas phase at a distorted geometry.

Results
____________
**Worked solution**
ORCA calculation (ωB97M-V/def2-TZVPD) on a molecular structure, C15H14NO4V.

Results
Frontier orbital gap (alpha / beta)   0.2739 / 0.2660 hartree
Net charge   +1
E_tot   -51144.555 eV
Spin multiplicity   2

CARTESIAN COORDINATES (ANGSTROEM)
V: -0.3621 0.4578 0.2302
O: -1.4723 -1.3016 -3.4234
C: -1.2824 -0.9257 -2.1893
O: -0.7220 0.1190 -1.8647
C: -1.7921 -1.8259 -1.1317
C: -2.6191 -2.9218 -1.2409
C: -3.0357 -3.5290 -0.0527
C: -2.6403 -3.0213 1.1765
C: -1.8067 -1.9126 1.1837
N: -1.4030 -1.3596 0.0534
C: -1.3167 -1.1349 2.3934
O: -1.5090 -1.5240 3.5078
O: -0.7161 -0.0199 2.0272
H: -1.1186 -0.6434 -4.0445
H: -2.9402 -3.2822 -2.2076
H: -3.6905 -4.3888 -0.0949
H: -2.9669 -3.4496 2.1139
C: 1.6112 0.1800 0.0140
H: 1.9553 0.5314 -0.9590
H: 1.7813 -0.8976 0.1103
H: 2.1505 0.7093 0.8017
C: -1.3549 2.2028 0.0072
C: -0.0774 2.7731 0.4312
C: 0.8715 3.2004 -0.5201
C: 2.1257 3.6135 -0.1286
C: 2.4740 3.5970 1.2211
C: 1.5598 3.1808 2.1759
C: 0.2942 2.7687 1.7886
H: -1.6748 2.4688 -0.9958
H: -2.1551 2.2464 0.7446
H: 0.5936 3.2112 -1.5679
H: 2.8414 3.9507 -0.8661
H: 3.4609 3.9195 1.5249
H: 1.8286 3.1797 3.2232
H: -0.4242 2.4520 2.5335

ORCA calculation (ωB97M-V/def2-TZVPD) on a gas-phase ion, C7H14N (charge +1) at a distorted geometry.

Results
Energy relative to the best compared isomer or geometry (same formula, charge and spin)   2.005 eV
Frontier orbital gap   0.4003 hartree
SMILES   C=C[C@@]1(C)C[C@H]1[NH2+]C
Net charge   +1
E_tot   -8967.073 eV

CARTESIAN COORDINATES (ANGSTROEM)
C: 0.5855 0.4058 -2.4074
C: -0.0845 -0.3298 -1.5574
C: 0.3642 -0.9332 -0.2391
C: 0.3972 -2.5055 -0.3134
C: 1.2695 -0.2132 0.7050
C: -0.2653 -0.2517 0.9144
N: -1.0391 0.9495 0.6067
C: -0.9669 2.1402 1.4855
H: 0.1627 0.6996 -3.3017
H: 1.6538 0.6309 -2.2734
H: -1.1161 -0.5072 -1.6235
H: 0.8282 -2.7803 0.5439
H: 1.2131 -2.6951 -0.9944
H: -0.6036 -2.9083 -0.6384
H: 1.7128 0.7510 0.5389
H: 1.8678 -0.7335 1.4726
H: -0.6007 -0.7731 1.8488
H: -0.5136 1.3709 -0.1959
H: -2.0033 0.6054 0.2876
H: -1.2476 1.8457 2.4966
H: 0.1389 2.4095 1.5226
H: -1.7531 2.8224 1.1221

ORCA calculation (ωB97M-V/def2-TZVPD) on a molecular structure, C24H26BrCl2N2O3ReS.

Results
Frontier orbital gap (alpha / beta)   0.2317 / 0.2139 hartree
Net charge   +3
E_tot   -142458.384 eV
Spin multiplicity   2

CARTESIAN COORDINATES (ANGSTROEM)
Re: 0.1397 -0.4310 -1.4790
C: 5.8264 -0.6402 -1.5290
C: 4.3682 -0.9772 -1.5475
C: 3.9360 -2.3241 -1.4285
C: 2.6026 -2.6862 -1.3887
C: 1.7220 -1.6234 -1.4916
Br: -0.9402 -1.4892 -3.2968
N: 2.1164 -0.3707 -1.6641
C: 3.4112 0.0114 -1.6612
H: 6.4225 -1.4685 -1.9060
H: 6.1444 -0.4378 -0.5039
H: 6.0384 0.2416 -2.1307
H: 4.6952 -3.0940 -1.3528
H: 2.2761 -3.7075 -1.2626
H: 3.6378 1.0614 -1.7812
C: 1.8630 4.2622 -4.4250
C: 1.2694 3.5790 -3.1958
S: 0.6720 1.9488 -3.6490
O: 0.1172 1.4306 -2.2415
C: -0.8148 2.2848 -4.6057
C: -1.7383 3.3529 -4.0524
H: 2.2050 5.2535 -4.1327
H: 1.1252 4.3947 -5.2160
H: 2.7142 3.7130 -4.8248
H: 0.4398 4.1309 -2.7559
H: 2.0135 3.3927 -2.4209
H: -1.2858 1.3011 -4.6670
H: -0.4324 2.5085 -5.6060
H: -1.9441 3.2014 -2.9927
H: -2.6844 3.2912 -4.5887
H: -1.3429 4.3557 -4.2031
Cl: -6.6642 -0.9451 3.7620
C: -6.4145 0.7472 3.9008
C: -7.2777 1.4785 4.6927
C: -7.0207 2.8181 4.9557
C: -5.8794 3.4496 4.4620
C: -5.0188 2.7324 3.6696
Cl: -3.5923 3.4779 3.0467
C: -5.2810 1.3799 3.3265
N: -4.3605 0.7276 2.5399
C: -4.6048 -0.2119 1.5657
C: -5.8710 -0.2625 0.9577
C: -6.1546 -1.2415 0.0308
C: -5.1852 -2.1826 -0.2948
C: -3.9159 -2.1187 0.2825
C: -3.5896 -1.1331 1.1905
C: -2.2339 -1.1237 1.8504
C: -1.1888 -0.2045 1.2792
O: -0.4182 0.5154 1.7894
O: -1.1034 -0.3514 -0.1859
H: -8.1334 0.9844 5.1311
H: -7.7076 3.3760 5.5781
H: -5.6709 4.4848 4.6909
H: -3.4105 1.0650 2.6598
H: -6.6099 0.4852 1.2140
H: -7.1302 -1.2789 -0.4337
H: -5.4122 -2.9741 -0.9962